Smoking Ban

i believe green peace and the EPA and all the tree huggers would love to see ur car in a crusher. so we already have that, i don’t think the comparison between the two is very strong.

people will say if you don;t wanna smell smoke don’t go clubbin, i say if you wanna smoke don’t go clubbin.

smoke this :bj:

HAHAHAHAHA thats great.

too bad its more than one individual. OBVIOUSLY

:blah: :blah: :blah:

do you honestly need explained the difference between individual and collective rights? :doh:

lol nice

No thats why people who were voted into office by a majority will make the final decision.

Those groups you mention have other priorities right now. Doesn’t mean they(or some other group, think MADD), won’t come after us…The analogy remains accurate.

Inscribed on the Holocaust memorial in Boston:
They came first for the Communists,
and I didn’t speak up because I wasn’t a Communist.

Then they came for the Jews,
and I didn't speak up because I wasn't a Jew.

Then they came for the trade unionists,
and I didn't speak up because I wasn't a trade unionist.

Then they came for the Catholics,
and I didn't speak up because I was a Protestant.

Then they came for me,
and by that time no one was left to speak up.

besides being very bad for u…the only problem i see see for smokers is that there is only 20 cigs per pack and 24 beers a case,now thats a major problem!

:rofl: :rofl: :rofl: :rofl:

I know how you can get this bill to stop dead in its tracks. All smokers boycott smoking in bars and clubs on their own. Apperently you guys know your being dicks to non smokers. That shit is a bit more pervasive than exhaust for comuters. quit making stupid analogies, its making me furious.

who cares?? i dont remember the emissions from my 240 making anyones clothes smell bad, or teeth yellow or restricting anyones blood vessels?? so what does my 240 have anything to do with smoking?? lets stay focused. im talking about how annoying it is to be in a club/restaraunt/bar and when i leave i smell like an ashtray cause someone else decides to ruin their life…

are you seriously that fucking retarded that you see second hand smoke as an inconvienence and not a health issue? that would make more sense, as to why your posts lack any intelligible thought or reasoning.

Unrelated to this page: records of crystals >
Entry 1:
12
Lattice="4.0897 0.0000 0.0000 0.0000 8.0682 0.6307 0.0000 -1.4580 10.1085" Properties=species:S:1:pos:R:3 comment="Pm3IrSCl | Alexandria | PBE | relaxed" dos_at_fermi_per_ev_atom=0.638 spacegroup=P2_1/m raw_formation_energy_ev_per_atom=-1.279 pbc="T T T"
Cl 1.0224 0.0344 6.1750
Cl 3.0673 6.5758 4.5641
Ir 1.0224 4.4458 1.4714
Ir 3.0673 2.1644 9.2678
Pm 1.0224 4.0794 8.6876
Pm 3.0673 1.8945 6.3811
Pm 1.0224 0.1180 9.1030
Pm 3.0673 6.4922 1.6362
Pm 3.0673 2.5307 2.0515
Pm 1.0224 4.7157 4.3580
S 3.0673 6.1294 9.1396
S 1.0224 0.4808 1.5996

***

Entry 2:
8
Lattice="-1.9711 -3.4338 0.5366 3.2240 -0.8533 6.3831 -4.0472 3.1082 5.0237" Properties=species:S:1:pos:R:3 comment="Pm4IrS2Cl | Alexandria | PBE | relaxed" dos_at_fermi_per_ev_atom=0.624 spacegroup=P2/m raw_formation_energy_ev_per_atom=-1.534 pbc="T T T"
S -3.0091 -0.1628 2.7801
S -4.0472 3.1082 5.0237
Pm -3.3347 0.4702 5.6352
Pm -2.0932 -2.9256 3.3406
Pm 0.5405 -1.6491 6.3082
Pm -0.7011 1.7466 8.6028
Ir 0.6265 -2.1436 3.4598
Cl -0.4116 1.1274 5.7034

***

Entry 3:
16
Lattice="8.2883 0.0000 0.0000 0.0000 8.7504 0.3195 -4.1441 -4.1418 5.8603" Properties=species:S:1:pos:R:3 comment="Pm8Ir3SCl4 | Alexandria | PBE | relaxed" dos_at_fermi_per_ev_atom=0.551 spacegroup=C2/m raw_formation_energy_ev_per_atom=-1.303 pbc="T T T"
Ir 4.1441 4.3752 0.1597
Ir -2.0721 2.3043 3.0899
Ir 2.0721 2.3043 3.0899
Pm 0.0000 4.1797 3.0655
Pm 6.1353 2.4189 0.2986
Pm 4.1441 4.2109 2.9733
Pm 4.1441 0.4288 3.1143
Pm 2.1530 2.4189 0.2986
Pm -1.9911 2.1896 5.8812
Pm 0.0000 0.3977 3.2065
Pm 1.9911 2.1896 5.8812
Cl -2.0721 -2.0709 2.9301
Cl 4.1441 0.0000 0.0000
Cl 0.0000 0.0000 0.0000
Cl 2.0721 -2.0709 2.9301
S 0.0000 4.3752 0.1597

***

Entry 4:
8
Lattice="4.0027 0.0000 0.0000 0.0000 7.4762 -0.2643 0.0000 2.5184 6.8629" Properties=species:S:1:pos:R:3 comment="Pm4IrSCl2 | Alexandria | PBE | relaxed" dos_at_fermi_per_ev_atom=0.536 spacegroup=P2/m raw_formation_energy_ev_per_atom=-1.428 pbc="T T T"
Cl 2.0014 1.2592 3.4314
Cl 0.0000 2.5184 6.8629
Ir 2.0014 3.7381 -0.1322
S 0.0000 4.9973 3.2993
Pm 2.0014 4.0008 4.9929
Pm 4.0027 2.7046 1.4590
Pm 2.0014 5.9938 1.6056
Pm 0.0001 7.2900 5.1395

***

Entry 5:
12
Lattice="-1.7727 2.6796 -2.3944 -7.4883 -1.8186 3.5090 4.2783 5.4020 6.2309" Properties=species:S:1:pos:R:3 comment="Pm6Ir2S3Cl | Alexandria | PBE | relaxed" dos_at_fermi_per_ev_atom=0.484 spacegroup=C2/m raw_formation_energy_ev_per_atom=-1.463 pbc="T T T"
Pm -0.5032 3.5199 0.9589
Pm -4.4796 2.7432 6.3866
Pm -2.0064 -0.3942 1.0443
Pm -4.1135 2.5407 2.5361
Pm -2.9764 6.6573 6.3012
Pm -0.8693 3.7224 4.8095
S -4.6305 0.4305 0.5573
S 0.2559 5.6667 2.7995
S -5.2387 0.5964 4.5461
Ir -1.3903 1.6551 2.8816
Ir -3.5925 4.6080 4.4639
Cl -0.8864 1.3398 -1.1972

***

Entry 6:
8
Lattice="-3.3173 -2.3431 0.3294 2.7146 -4.5673 -5.1495 4.1045 -5.3308 3.4177" Properties=species:S:1:pos:R:3 comment="Pm4IrSeCl2 | Alexandria | PBE | relaxed" dos_at_fermi_per_ev_atom=0.593 spacegroup=P2/m raw_formation_energy_ev_per_atom=-1.380 pbc="T T T"

unfiltered emissions from your 240 can easily kill you, equal to or more so than 100% second hand smoke intake… wtf, the entire point of the ‘ban’ is revolving around air pollution!

First of all, the emissions from your 240 are pure. Because your 240 doesnt run.

Even if they banned smoking inside, you’re still going to have to walk through it outside or anywhere else in public so either bust out the Febreze or don’t go out if youre so distraught by the smell.

Smoking sucks. The government sucks. I can’t believe there’s 7 pages of this conversation.


I think you are missing the point of this discussion. The point is that government dictating policy to a privately owned business is wrong. If you(and i use the term ‘you’ in a generic sense here) don’t like the smoke in a bar/club/restaurant/whorehouse, then complain to the owners of the establishments. If there is TRULY a majority demand for a non smoking facility, the market will dictate that and will respond. If there isn’t a majority demand, then why is it fair for the demands of a vocal few to be forced upon the majority who do not wish for this.
The government doesn’t give a fuck about your health. If they really did, they would ban all tobacco products and be done with it.
I truly cannot understand the mindset of wanting to turn over so much power and control to a government. :dunno: :dunno:

I want the ban. But my single voice doesnt matter. Now if law makers ban it (people who you all VOTE into office), I’ll be happy. If they don’t ban in, I’ll accept it.

____________
# SbMo3Se

A geometry-optimized SbMo3Se structure (PBE, Alexandria via LeMat-Bulk).

Calculated values
* formation energy without anion corrections: 2051 meV per atom
* V: 120.1 Å³/f.u.
* final energy: -29.844 eV/cell
* ρ: 6.752 g/cm³
* total magnetic moment: 0.0 μB per cell
* density of states at the Fermi level: 1.11 states/eV per atom
* symmetry: No. 221

abc: 4.934 4.934 4.934
angles: 90.00 90.00 90.00
Positions (direct):
1 Sb 0.000 0.000 0.000
2 Mo 0.000 0.000 0.500
3 Mo 0.000 0.500 0.000
4 Mo 0.500 0.000 0.000
5 Se 0.500 0.500 0.500

=====

# SbMo2Se

A geometry-optimized SbMo2Se structure (PBE, Alexandria via LeMat-Bulk).

Calculated values
* formation energy without anion corrections: 178 meV per atom
* V: 74.2 Å³/f.u.
* final energy: -57.110 eV/cell
* ρ: 8.788 g/cm³
* total magnetic moment: 0.0 μB per cell
* density of states at the Fermi level: 1.08 states/eV per atom
* symmetry: No. 44

abc: 3.427 3.459 12.515
angles: 90.00 90.00 90.00
Positions (direct):
1 Sb 0.000 0.000 0.000
2 Sb 0.500 0.500 0.500
3 Mo 0.000 0.000 0.400
4 Mo 0.000 0.500 0.675
5 Mo 0.500 0.000 0.175
6 Mo 0.500 0.500 0.900
7 Se 0.000 0.500 0.249
8 Se 0.500 0.000 0.749

=====

# SbMo2Se

A geometry-optimized SbMo2Se structure (PBE, Alexandria via LeMat-Bulk).

Calculated values
* formation energy without anion corrections: 61 meV per atom
* V: 87.7 Å³/f.u.
* final energy: -87.079 eV/cell
* ρ: 7.438 g/cm³
* total magnetic moment: 0.0 μB per cell
* density of states at the Fermi level: 0.85 states/eV per atom
* symmetry: No. 160

abc: 3.163 3.163 30.343
angles: 90.00 90.00 120.00
Positions (direct):
1 Sb 0.000 0.000 0.000
2 Sb 0.333 0.667 0.667
3 Sb 0.667 0.333 0.333
4 Mo 0.000 0.000 0.262
5 Mo 0.000 0.000 0.527
6 Mo 0.333 0.667 0.193
7 Mo 0.333 0.667 0.929
8 Mo 0.667 0.333 0.595
9 Mo 0.667 0.333 0.860
10 Se 0.000 0.000 0.802
11 Se 0.333 0.667 0.469
12 Se 0.667 0.333 0.136

=====

# TlSbMo2Se

A geometry-optimized TlSbMo2Se structure (PBE, Alexandria via LeMat-Bulk).

Calculated values
* formation energy without anion corrections: 2062 meV per atom
* V: 157.7 Å³/f.u.
* final energy: -21.324 eV/cell
* ρ: 6.288 g/cm³
* total magnetic moment: 7.2 μB per cell
* density of states at the Fermi level: 0.94 states/eV per atom
* symmetry: No. 123

abc: 5.367 5.367 5.473
angles: 90.00 90.00 90.00
Positions (direct):
1 Tl 0.000 0.000 0.000
2 Sb 0.000 0.000 0.500
3 Mo 0.000 0.500 0.000
4 Mo 0.500 0.000 0.000
5 Se 0.500 0.500 0.500

=====

# TlSbMo2Se

A geometry-optimized TlSbMo2Se structure (PBE, Alexandria via LeMat-Bulk).

Calculated values
* formation energy without anion corrections: 1930 meV per atom
* V: 146.4 Å³/f.u.
* final energy: -21.983 eV/cell
* ρ: 6.771 g/cm³
* total magnetic moment: 5.9 μB per cell
* density of states at the Fermi level: 0.81 states/eV per atom
* symmetry: No. 123

abc: 5.333 5.333 5.149
angles: 90.00 90.00 90.00
Positions (direct):
1 Tl 0.000 0.000 0.000
2 Sb 0.500 0.500 0.500
3 Mo 0.000 0.500 0.000
4 Mo 0.500 0.000 0.000
5 Se 0.000 0.000 0.500
____________
_Here the entry continues_

I’ll agree to ban smoking in pubilc, so long as the bill includes a ban on the following:
-Partially hydrogenated soybean oil
-High fructose corn syrup
-Chocholate cake

The Health care costs of obesity in America have exceeded the smoking costs.

That means, quit bitching at smokers because you’re a whiny bitch who can’t stand smoke in his/her eyes, and start boycotting KFC and Cold Stone Creamery.

I have an idea, let’s put a height/weight chart in every restaurant, and make everyone stand on a scale before ordering. If you are deemed a fatty by your height/weight rating, you are only allowed to buy salad, and drink water. That way we’ll keep these gluttonous morons from ruining our already struggling health-care system.

At least smokers die a lot faster if/when they get lung cancer. Fat people drain the system for years with their high blood pressure pills and heart surgeries.

It’s time to lay off the smokers and start going after the fatties.

(If you are fat, and you read this, I make no apologies. Nobody forces you to eat. )

I think I’m going to go buy a pack of smokes. Nicotine is a laxative, so technically, smoking helps fight our worst health care burden, obesity.

^^^^^(If you are fat, and you read this, I make no apologies. Nobody forces you to eat. ):ban: :ban: :wtf: